Photos by J Patrick Cudahy
Friends of the Dunes release:
About 700 local students spent their school day caring for the coast during the 17th Annual Kids Ocean Day event at the Mike Thompson Wildlife Area, South Spit of the Humboldt Bay. After spending the day restoring dune habitat and picking up trash, students, teachers, and volunteers formed three ochre sea stars with the message “Restore Joy.” Local pilot Mark Harris flew over while photographer Patrick Cudahy captured the image.
Friends of the Dunes and the Bureau of Land Management Arcata Field Office organized the Kids Ocean Day event locally, with help from the California Conservation Corps, California State Parks Lifeguards, and US Fish & Wildlife Service. The Humboldt County event was part of the statewide Kids Ocean Day program funded by the California Coastal Commission, a series of student cleanups and aerial art displays at five sites along the California Coast. Across the state, students received classroom presentations highlighting the biodiversity of California’s coastal environments, how we are connected to these habitats through watersheds, and the importance of protecting our coast and ocean. Kids all along the coast of California participated in beach cleanup events throughout late May and early June, leading up to World Ocean Day on June 8, a global day of ocean celebration and collaboration for a better future. In Humboldt County, students participated in a day of ecosystem restoration, removing non-native invasive plant species to create space for native biodiversity, along with trash removal. This year each site focused on a message of Joy.
Our image of three ochre stars (Pisaster ochraceus) was chosen because these ocean animals were hit hard by a sea star wasting syndrome almost 10 years ago with huge die-offs along the west coast. In recent years, populations of sea stars have been recovering and they are once again becoming a common sighting on northern California beaches. “This is our 17th Annual Kids Ocean Day event in Humboldt County, and our first time back since 2019. This is our comeback story, much like the ochre sea stars, and I am so proud to be a part of it.” said Emily Baxter, Friends of the Dunes Education Coordinator. “During this event students from all over Humboldt County come together to not only be coastal stewards but also to have fun! For many of these kids, this is one of their first field trips since coming back to school full time, so we are excited to bring back a joyous occasion that they look forward to every year.”
“It’s so wonderful that we are able to hold this event once again,’’ said Coastal Commission Chair Donne Brownsey. “The students who take part in Kid’s Ocean Day are demonstrating how to be good stewards of our precious coast and ocean, and reminding us of the joy of connecting with nature. They are truly role models.” The Coastal Commission provides financial support to Kids Ocean Day efforts statewide with proceeds from the Whale Tail License Plate and voluntary donations on the state tax return to the Protect Our Coast and Oceans Fund.
Participating Schools included: Blue Lake Elementary, Bridgeville Elementary, Fuente Nueva Charter School, Jacoby Creek, Loleta, McKinleyville Middle, Pacific Union School, Redway Elementary, Sunny Brae Middle School, Walker (South Fortuna) Elementary, and Washington Elementary.
Friends of the Dunes is dedicated to conserving the natural diversity of coastal environments through community supported education and stewardship programs. Projects include the Bay to Dunes school education program, Dune Ecosystem Restoration Team and the Humboldt Coastal Nature Center. For more information visit
Unrelated to this page: records of crystals
'''
[1]
Density functional theory data (PBE-GGA) for a geometry-optimized SmMgSnPd structure.

Geometry as POSCAR:
```
SmMgSnPd
1.0
0.000 3.555 3.555
3.555 0.000 3.555
3.555 3.555 0.000
Sm Mg Sn Pd
1 1 1 1
Cartesian
0.000 0.000 0.000
3.555 3.555 3.555
1.777 1.777 1.777
5.332 5.332 5.332
```

## Properties
Crystal system = cubic
Spin magnetization = 0.0 μB per formula unit
Formation enthalpy at 0 K = -603 meV/atom

[2]
Density functional theory data (PBE-GGA) for a geometry-optimized AcDy2CuS5 structure.

Geometry as POSCAR:
```
AcDy2CuS5
1.0
-3.771 3.771 6.646
3.771 -3.771 6.646
3.771 3.771 -6.646
Ac Dy Cu S
2 4 2 10
Cartesian
0.000 0.000 3.323
0.000 0.000 9.969
4.977 1.205 0.000
1.205 2.566 0.000
2.566 1.205 6.646
-1.205 2.566 6.646
3.771 0.000 3.323
0.000 3.771 3.323
0.000 0.000 0.000
2.586 1.185 -1.809
2.586 -1.185 4.837
2.586 1.185 1.809
2.586 -1.185 8.455
0.000 0.000 6.646
1.185 4.957 -1.809
1.185 2.586 4.837
1.185 4.957 1.809
1.185 2.586 8.455
```

## Properties
Raw formation energy = -1783 meV/atom
Crystal system = tetragonal
Spin magnetization = 0.0 μB per formula unit
'''
End of the records of crystals
The Bureau of Land Management’s Arcata Field Office is responsible for the administration of natural resources, lands, and mineral programs on approximately 200,000-acres of public land in Northwestern California. The Area includes the 60,000 acre King Range National Conservation Area and the 7,472-acre Headwaters Forest Reserve.
This annual event was started by the Malibu Foundation for Environmental Education and the California Coastal Commission in Los Angeles in 1994. With funding from the Whale Tail License Plate, this program expanded to the North Coast in 2005. The program focuses on reaching children in underserved and inland schools.
The California Coastal Commission is committed to protecting and enhancing California’s coast and ocean for present and future generations. It does so through careful planning and regulation of environmentally-sustainable development, strong public participation, education, and effective intergovernmental coordination. The Kids’ Ocean Day program is part of the Commission’s effort to raise public awareness of marine and coastal resources and promote coastal stewardship. Funding for this program comes from sales of the WHALE TAIL® License Plate and donations to the Protect Our Coast and Oceans Fund on the California state tax return. For more information about the California Coastal Commission’s programs and how to buy a Whale Tail Plate, call (800) COAST-4U or visit